Start at the top of the notes further below and print each line, ending with the one that has "0.6416".

~~~
[1]
Simulated X-ray powder pattern of PmSc3Cu2 for λ = 1.5418 Å (Cu Kα), from DFT lattice parameters and positions (PBE).
Peak positions follow from Bragg's law for the DFT cell and can differ from measured ones.

Structural model:
```
data_PmSc3Cu2
_space_group_name_H-M_alt 'P m c 21'
_space_group_IT_number 26
_space_group_name_Hall 'P 2c -2'
_cell_length_a 3.4862
_cell_length_b 9.1399
_cell_length_c 8.2783
_cell_angle_alpha 90.00
_cell_angle_beta 90.00
_cell_angle_gamma 90.00
loop_
_atom_site_label
_atom_site_type_symbol
_atom_site_fract_x
_atom_site_fract_y
_atom_site_fract_z
_atom_site_occupancy
Pm1 Pm 0.0000 0.0851 0.0000 1
Sc1 Sc 0.0000 0.3029 0.6416 1
Sc2 Sc 0.5000 0.2189 0.3270 1
Sc3 Sc 0.5000 0.4286 0.9719 1
Cu1 Cu 0.0000 0.4239 0.2565 1
Cu2 Cu 0.5000 0.0901 0.7120 1
```

The 10 most intense peaks (10° ≤ 2θ ≤ 90°), by intensity:
d 2.560, intensity 1000, hkl 1 1 2; d 2.628, intensity 547, hkl 1 2 1; d 2.211, intensity 399, hkl 1 3 1; d 2.859, intensity 341, hkl 0 3 1; d 2.642, intensity 275, hkl 0 1 3; d 4.001, intensity 262, hkl 0 2 1; d 3.771, intensity 159, hkl 0 1 2; d 1.743, intensity 158, hkl 2 0 0; d 2.362, intensity 157, hkl 0 2 3; d 1.508, intensity 126, hkl 1 5 2

---

[2]
Simulated X-ray powder pattern of NaCdGa2Au4 for λ = 1.5418 Å (Cu Kα), from DFT lattice parameters and positions (PBE).
Peak positions follow from Bragg's law for the DFT cell and can differ from measured ones.

Structural model:
```
data_NaCdGa2Au4
_space_group_name_H-M_alt 'R -3 m'
_space_group_IT_number 166
_space_group_name_Hall '-R 3 2"'
_cell_length_a 4.5042
_cell_length_b 4.5042
_cell_length_c 27.6274
_cell_angle_alpha 90.00
_cell_angle_beta 90.00
_cell_angle_gamma 120.00
loop_
_atom_site_label
_atom_site_type_symbol
_atom_site_fract_x
_atom_site_fract_y
_atom_site_fract_z
_atom_site_occupancy
Na1 Na 0.0000 0.0000 0.0000 1
Cd1 Cd 0.0000 0.0000 0.5000 1
Ga1 Ga 0.0000 0.0000 0.2621 1
Au1 Au 0.0000 0.0000 0.1163 1
Au2 Au 0.0000 0.0000 0.3957 1
```

The 10 most intense peaks (10° ≤ 2θ ≤ 90°), by intensity:
d 2.253, intensity 1000, hkl 1 1 0; d 2.586, intensity 640, hkl 0 1 8; d 3.397, intensity 386, hkl 1 0 4; d 4.605, intensity 211, hkl 0 0 6; d 1.698, intensity 180, hkl 2 0 8; d 1.356, intensity 170, hkl 1 2 8; d 2.023, intensity 151, hkl 1 1 6; d 1.300, intensity 130, hkl 3 0 0; d 1.268, intensity 109, hkl 1 1 18; d 1.761, intensity 109, hkl 0 1 14
~~~

[1]
Simulated X-ray powder pattern of PmSc3Cu2 for λ = 1.5418 Å (Cu Kα), from DFT lattice parameters and positions (PBE).
Peak positions follow from Bragg's law for the DFT cell and can differ from measured ones.

Structural model:
```
data_PmSc3Cu2
_space_group_name_H-M_alt 'P m c 21'
_space_group_IT_number 26
_space_group_name_Hall 'P 2c -2'
_cell_length_a 3.4862
_cell_length_b 9.1399
_cell_length_c 8.2783
_cell_angle_alpha 90.00
_cell_angle_beta 90.00
_cell_angle_gamma 90.00
loop_
_atom_site_label
_atom_site_type_symbol
_atom_site_fract_x
_atom_site_fract_y
_atom_site_fract_z
_atom_site_occupancy
Pm1 Pm 0.0000 0.0851 0.0000 1
Sc1 Sc 0.0000 0.3029 0.6416 1